Behold, I am the handmaid of the Lord; let it be to me
according to your word.
our queen and mother. With the support of her prayers may we come to share the
glory of your children in the kingdom of heaven.
convinced that this feast will help to preserve, strengthen and prolong that
peace among nations which daily is almost destroyed by recurring crises. Is she
not a rainbow in the clouds reaching towards God, the pledge of a covenant of
peace? “Look upon the rainbow, and bless Him that made it; surely it is
beautiful in its brightness. It encompasses the heaven about with the circle of
its glory, the hands of the Most High have displayed it. “Whoever,
therefore, reverences the Queen of heaven and earth – and let no one consider
himself exempt from this tribute of a grateful and loving soul – let him invoke
the most effective of Queens, the Mediatrix of peace; let him respect and
preserve peace, which is not wickedness unpunished nor freedom without
restraint, but a well-ordered harmony under the rule of the will of God; to its
safeguarding and growth the gentle urgings and commands of the Virgin Mary
impel us.”
how through the millennia Mary was honored with the title of “Mother of God” and
therefore theologians and preachers have accorded her the title of Queen of Heaven
and Earth.
and pray the prayer of consecration to the Immaculate Heart of the Blessed
Virgin Mary as proposed by the pope.
_Calculated crystals, as found in the file_
- - -
Entry from Alexandria: an optimized crystal structure of YGa3PtRh (PBE).

Unit cell a=6.3245 b=12.4750 c=5.6353 alpha=90.00 beta=90.00 gamma=90.00
Closest atoms and distances in Å follow each position.
Space group Cmcm (No. 63)
One atom of each set of equivalent atoms:
Y (0.0000, 0.2267, 0.2500)  1 Rh 2.66, 2 Pt 2.96
Ga (0.0000, 0.3550, 0.7500)  1 Pt 2.49, 1 Rh 2.56
Ga (0.1965, 0.0000, 0.0000)  1 Ga 2.49, 2 Rh 2.50, 2 Pt 2.70
Pt (0.0000, 0.1553, 0.7500)  5 Ga 2.49-2.70
Rh (0.0000, 0.4399, 0.2500)  5 Ga 2.50-2.56, 1 Y 2.66

## Properties
The magnetic moment is 0.0 μB/f.u.



Entry from Alexandria: an optimized crystal structure of Y2Ga4PtRh3 (PBE).

Unit cell a=4.2169 b=4.2169 c=10.2682 alpha=90.00 beta=90.00 gamma=90.00
Closest atoms and distances in Å follow each position.
Space group P-4m2 (No. 115)
One atom of each set of equivalent atoms:
Y (0.0000, 0.5000, 0.2438)  8 Ga 3.19-3.37, 6 Rh 3.25-3.27, 2 Pt 3.27
Ga (0.0000, 0.0000, 0.5000)  4 Rh 2.50
Ga (0.0000, 0.5000, 0.8675)  3 Rh 2.43-2.51, 2 Pt 2.51
Ga (0.5000, 0.5000, 0.5000)  4 Rh 2.50
Pt (0.5000, 0.5000, 0.0000)  4 Ga 2.51
Rh (0.0000, 0.0000, 0.0000)  4 Ga 2.51
Rh (0.0000, 0.5000, 0.6309)  5 Ga 2.43-2.50

## Properties
The magnetic moment is 0.0 μB/f.u.



Entry from Alexandria: an optimized crystal structure of ZnGaPtRh (PBE).

Unit cell a=3.3802 b=4.0874 c=4.1545 alpha=90.00 beta=90.00 gamma=90.00
Closest atoms and distances in Å follow each position.
Space group Pmmm (No. 47)
One atom of each set of equivalent atoms:
Zn (0.0000, 0.0000, 0.0000)  4 Pt 2.65, 4 Rh 2.68, 4 Ga 2.91
Ga (0.0000, 0.5000, 0.5000)  4 Rh 2.65, 4 Pt 2.68, 4 Zn 2.91
Pt (0.5000, 0.5000, 0.0000)  4 Zn 2.65, 4 Ga 2.68, 4 Rh 2.91
Rh (0.5000, 0.0000, 0.5000)  4 Ga 2.65, 4 Zn 2.68, 4 Pt 2.91

## Properties
The magnetic moment is 0.0 μB/f.u.



Entry from Alexandria: an optimized crystal structure of ZrGaPtRh (PBE).

Unit cell a=6.4297 b=6.4297 c=6.4297 alpha=90.00 beta=90.00 gamma=90.00
Closest atoms and distances in Å follow each position.
Space group F-43m (No. 216)
One atom of each set of equivalent atoms:
Zr (0.0000, 0.0000, 0.0000)  4 Pt 2.78, 4 Rh 2.78
Ga (0.0000, 0.0000, 0.5000)  4 Rh 2.78, 4 Pt 2.78
Pt (0.2500, 0.2500, 0.2500)  4 Zr 2.78, 4 Ga 2.78
Rh (0.2500, 0.2500, 0.7500)  4 Zr 2.78, 4 Ga 2.78

## Properties
The value obtained for the energy above the most stable polymorph in this dataset is 0.077 eV/atom. The magnetic moment is 0.0 μB/f.u.



Entry from Alexandria: an optimized crystal structure of ZrGaPtRh (PBE).

Unit cell a=4.1301 b=4.1301 c=7.6615 alpha=90.00 beta=90.00 gamma=90.00
Closest atoms and distances in Å follow each position.
Space group I-4m2 (No. 119)
One atom of each set of equivalent atoms:
Zr (0.0000, 0.0000, 0.0000)  4 Rh 2.82, 4 Pt 2.82, 4 Ga 2.92
Ga (0.0000, 0.0000, 0.5000)  4 Rh 2.82, 4 Pt 2.82, 4 Zr 2.92
Pt (0.0000, 0.5000, 0.7500)  4 Zr 2.82, 4 Ga 2.82, 4 Rh 2.92
Rh (0.0000, 0.5000, 0.2500)  4 Zr 2.82, 4 Ga 2.82, 4 Pt 2.92

## Properties
- - -
A Solemn Act of Consecration to the Immaculate Heart of
Most Holy Virgin Mary, tender Mother of men, to fulfill the desires of the
Sacred Heart of Jesus and the request of the Vicar of Your Son on earth, we
consecrate ourselves and our families to your Sorrowful and Immaculate Heart, O
Queen of the Most Holy Rosary, and we recommend to You, all the people of our
country and all the world.
Please accept our consecration, dearest Mother, and
use us as You wish to accomplish Your designs in the world.
O Sorrowful and
Immaculate Heart of Mary, Queen of the Most Holy Rosary, and Queen of the
World, rule over us, together with the Sacred Heart of Jesus Christ, Our King.
Save us from the spreading flood of modern paganism; kindle in our hearts and
homes the love of purity, the practice of a virtuous life, an ardent zeal for
souls, and a desire to pray the Rosary more faithfully.
We come with confidence
to You, O Throne of Grace and Mother of Fair Love. Inflame us with the same
Divine Fire which has inflamed Your own Sorrowful and Immaculate Heart. Make
our hearts and homes Your shrine, and through us, make the Heart of Jesus,
together with your rule, triumph in every heart and home. Amen.
Servant of God Pope Pius XII
just a suggestion: it would be really helpful to some of us to see the name of the art piece you are using and the artist.
Thanks. Some others have made a similar suggestion. In the future, I will hope to do so. Sometimes I don’t know the artist, esp when it comes to some of the saints.
Thanks for reading. PAX!